Archive for the 'intellectual property' Category

Got rights?

February 13, 2008

Despite being a mother of zero, today I’m blogging over at Freelance Parent. If “first North American Serial Rights” sounds like a phrase out of your nightmares, or if you’ve never thought about who owns your words, I suggest you head over.

DC government caught plagiarizing

May 9, 2007

District of Columbia mayor Adrian Fenty’s administration has been caught plagiarizing. Oops!

Victor A Reinoso, the deputy mayor for education, lifted phrases and ideas from other school districts when compiling a 31-page plan to improve the performance of students in DC schools, according to the Washington Post. The paper reported that 32 percent of the school plan was borrowed illegitimately.

Reinoso said in a statement:

“In my eagerness to compile a compendium of successful reform initiatives, plans and best practices, I didn’t properly attribute educational sources. . . . I am hopeful this oversight doesn’t diminish the public’s perception of the Administration’s intent and ability to successfully manage and reform the District’s Public School System.”

The most vocal critics of Reinoso’s actions claim that he should have tailored his recommendations to fit DC schools; among other differences, the DC system is less than half the size of the Charlotte-Mecklenburg, N.C., school system from which many of the plagiarized passages originated.

My biggest worry with this is not that the plan “doesn’t fit” the DC school district. After all, more than 60% of the document was original. But if the people in charge of the schools can’t figure out the concept of academic honesty, how can students? Or rather, how can teachers, who can’t possibly be blamed for the actions of a city official, expect to have power to punish plagiarists if this sort of thing is running rampant at the administrative level? Are we, as I’ve suggested before, thinking we’re sliding down an ethical slope to a point where plagiarism is a fact of life–or is it a move toward the utopian free exchange of information?

I also can’t help but wonder if people would still be complaining that the plan was not unique to the District if Reinoso had properly attributed his sources. After all:

In Fenty’s document, with “DRAFT” stamped on each page, strategies to create reading and math classes for middle school students, recruit teachers and use “secret shoppers” to judge how parents are treated by school employees come directly from the Charlotte-Mecklenburg plan.

The administration’s proposal for a “data dashboard” with statistical indicators to enable “the public to see, at a glance, whether current improvement efforts are on track and to respond appropriately when problems arise” is lifted from the Charlotte-Mecklenburg document.

These sound great! The Charlotte-Mecklenburg plan, which took over 100 days and 500 parents, teachers, and consultants to compile, should be emulated. Of course, the full document probably has more details that should be tailored to fit the school system, but there’s nothing wrong with borrowing good ideas. And citing their sources.

The Internet murdered the term paper.

March 27, 2007

The term paper has been murdered by the Internet. Right? Jason Johnson in Sunday’s Washington Post wrote on this topic; explaining how he was rewarded at work for putting his name on someone else’s writing. “It was an open secret that my entire report, written “by Jason Johnson,” had been composed by others and that I had been merely an editor.”
“Essay Time.”
Flickr: Tim Riley.

“As kids today plagiarize more and more from the Internet,” Johnson writes, “the old-fashioned term paper — composed by sweating students on a typewriter as they sat elbow-deep in reference books — has no useful heir in the digital age.”

It is tempting to do away with research papers. Web sites like, which compare papers uploaded by subscribers to its vast database of journal articles, newspapers, web sites, and other research papers, cannot possibly catch every instance of plagiarism. What’s more, TurnItIn is hard to use (from my experiences training professors at this university to use it) and is only in use at the universities and colleges that have opted to pay for it. Clearly it has gotten so easy to plagiarize that there is almost no reason not to.

Colleges, of course, disagree: Patricia McGuire, President of Trinity University in Washington, called the column “a stunningly irresponsible case for tolerating plagiarism” on her blog.

The writer (did Jason Johnson actually write the column, or did he just cut and paste it from some sophomore’s dream of a world without plagiarism consequences, a world without the need to demonstrate any ability to write something longer than an instant message) manifested a remarkable disrespect for the ability to conceptualize and write a lucid text presenting the student’s own analysis of facts and opinions. The writer argues that we academics should simply give in to the prevalence of plagiarism and find methods other than term papers to assess student knowledge, reasoning and writing abilities (well, he pretty much dismissed writing abilities as relevant).

While spending the time to write a good research paper or essay will help hone a student’s writing skills, maybe those skills, for the average shmuck, aren’t relevant anymore. The modern student communicates through IM or short notes on friends’ Facebook or Myspace “walls.” The longest things most students have to write on a daily basis are e-mails to professors (and believe me, I have seen students write their professors or bosses using Internet abbreviations.)

I guess they’re not really quality.
Flickr:Lasagna Boy.

Who hasn’t seen blatant, painful grammar or spelling errors on store signs, flyers, advertisements? Try our “FRESH” Hot Dog’s. It makes a logophile like me cringe, but some—most?–people won’t even notice the error. The meaning behind the language parses just the same. In the corporate world, e-mails from administrative assistants, co-workers, even bosses are littered with more spelling errors. (Microsoft Word, which, of course, is used in almost every office across the country, is telling me right now that “logophile” should actually be spelled “loophole.”)

If the ability to create original writing was valued, the first generation of Internet plagiarizers would all be unemployed right now. (And let’s not forget that plagiarism wasn’t born with the ‘net. My grandfather plagiarized a term paper in dental school and copied pages verbatim from a book about the most obscure subject he could think of, the tsetse fly. Unfortunately, his professor’s specialization turned out to be the tsetse fly—without that unhappy coincidence, though, the man would have gotten away with it. He was a very good dentist until he retired, and he has never written another word on the tsetse fly as long as he’s lived.)

If nobody seems to care about good writing, why do we teach it? Having just spent the last four years of my life writing and studying writing, I feel like there must be a reason.

Some day, at your job, your supervisor will ask you to research a new technology, or a competitor, or a possible new contact. Once, that meant original work; even if the information was available, odds were it’d be on the other side of the country. But we are very close to the time when the answers to everything you might ever want to know on any subject will be a few keystrokes away. Perhaps Johnson is right, and the ability to “synthesize content from multiple sources, put structure around it and edit it into a coherent, single-voiced whole” is more crucial today than the ability to write original ideas. “Students who are able to create convincing amalgamations have gained a valuable business skill,” he writes. In addition, just like a regular research paper, a plagiarized papers will teach students how to research on the Internet, how to vet a source for accuracy, and how to work all the bells and whistles in Word. All important skills.

Not all plagiarized papers construe a “single-voiced whole.” Clever plagiarizers edit, but sloppy plagiarizers cut and paste–and get caught. But Johnson’s essay all but ignores the fact that plagiarism, sloppy or clever, caught or not, is morally wrong. If we are moving into an age where we must accept that term papers teach students how to edit rather than write, is this also a tacit acceptance of dishonesty? I hope not. I hope there is a way to accept that editing is a bigger part of modern academic work than writing without encouraging blatant plagiarism.

But there is still the issue of declining writing skills as editing skills are on the rise. Are we prepared to eat hot dog’s qwik-ly for the rest of our lives? Will Microsoft Word’s spellchecker and MSN messenger team up to destroy grammar? Will we, in the future, lol instead of laugh? Will we :) instead of smile? Will we care?

Let’s wait and see. U with me?
For a different take on the issue, see another piece from the WP: Wikiality in My Classroom.

On the Commodification of the Ecstasy of the By-Products of Action

March 13, 2007

(No, this is not another Splasher post.)

 If you haven’t read Jonathan Lethem’s amazing plagiarism, “The Ecstasy of Influence,” over at Harper’s, go do so. The idea that everything is a retelling is, in itself, not a new idea, but I don’t often think of works of art and literature as being better when they play off each other. Of course it’s true, and I realized that as soon as I really thought about it, but it’s not a concept that gets much play in today’s society, where Disney continues to convince us that it’s for the public good that they own Mickey until 2019.

Now Lethem has announced on his web site that he will give away, in two months’ time, a free option on the film rights to his novel, You Don’t Love Me Yet, which is released today. The New York Times broke the story in their Arts, Briefly section and reported that Lethem said he’s “become fitful about some of the typical ways art is commodified.” There are two caveats to any aspiring filmmakers:

  1. I’d like the filmmaker to pay (something) for the purchase of the rights if they actually make a film: two percent of the budget, paid when the completed film gets a distribution deal. (I’ll wait until distribution to get paid so a filmmaker without many funds can work without having to spend their own money paying me).
  2. The filmmaker and I will make an agreement to release all ancillary rights to the film (and its source material, the novel), five years after the film’s debut. In other words, after a waiting period during which those rights would still be restricted, anyone who cared to could make any number of other kinds of artwork based on the novel’s story and characters, or the film’s: a play, a television series, a comic book, a theme park ride, an opera – or even a sequel film or novel featuring the same characters. For that matter, they can remake the film with another script and new actors. In my agreement with the filmmaker, those ancillary rights will be launched into the public domain.

I’m so amazed by this that I’m almost speechless. Way to walk the walk, Mr. Lethem. This is a man who makes his living from selling his intellectual property. He isn’t giving away something expendable. This is his life. This puts food on the table and pays the rent and he is giving it away for free. Yes, he may make some money off the film later, but he may not.

Also on Lethem’s web site is “The Promiscuous Materials Project,” similar in concept but for some of his short stories, and some song lyrics. Again, these stories are not expendable, early attempts. One story, “The Spray,” has been “the most requested story [Lethem has] published.” Interestingly, Lethem says the project was partially inspired by the idea that he could, using a Creative Commons-type license, allow more than one filmmaker to adapt the story. Indeed, despite the project being only a few months old, two filmmakers are working on “The Spray,” two other short stories are being turned into films and stage plays, and ten musicians have taken advantage of “The Promiscuous Songs,” the recordings of which are available on line.

(Someone pasted calculated crystals at this point)
********
Theoretical powder XRD pattern of LiCo3SbP6O24 for CuKα, from a cell relaxed with GGA+U.
Intensities are scaled so that the largest is 100.

The 10 most intense peaks (2θ from 15° to 90°), by angle:
d (Å), 2θ/deg, I/Imax
4.380, 20.28, 100
4.170, 21.31, 59
3.626, 24.55, 93
3.020, 29.58, 69
2.756, 32.49, 66
2.446, 36.74, 26
2.408, 37.35, 25
1.882, 48.37, 28
1.813, 50.32, 20
1.715, 53.44, 24

Structure:
```
data_LiCo3SbP6O24
_symmetry_space_group_name_H-M 'R 3'
_symmetry_Int_Tables_number 146
_symmetry_space_group_name_Hall 'R 3'
_cell_length_a 8.3406
_cell_length_b 8.3406
_cell_length_c 22.0317
_cell_angle_alpha 90.00
_cell_angle_beta 90.00
_cell_angle_gamma 120.00
loop_
_atom_site_label
_atom_site_type_symbol
_atom_site_fract_x
_atom_site_fract_y
_atom_site_fract_z
Li1 Li 0.0000 0.0000 0.0000
Co1 Co 0.0000 0.0000 0.3716
Co2 Co 0.0000 0.0000 0.6657
Co3 Co 0.0000 0.0000 0.8741
Sb1 Sb 0.0000 0.0000 0.1626
P1 P 0.0485 0.6743 0.4358
P2 P 0.0515 0.3810 0.9405
O1 O 0.0105 0.2043 0.2107
O2 O 0.0319 0.8330 0.1051
O3 O 0.0673 0.8519 0.7177
O4 O 0.0862 0.8719 0.4223
O5 O 0.1385 0.6803 0.4968
O6 O 0.1584 0.4812 0.6034
O7 O 0.1915 0.4445 0.2863
O8 O 0.2041 0.4541 0.9903
```


Computed XRD peak list
Compound: ZrCuO4F6
Radiation: Cu Kα
Structure: a GGA-PBE-relaxed structure
Peak positions follow from Bragg's law for the DFT cell and can differ from measured ones.

Largest 10 diffraction maxima, low angle first, 10° ≤ 2θ ≤ 90°:
2theta	Rel. int.
20.10	47
21.85	100
23.65	97
24.49	33
31.88	17
36.26	45
38.89	16
43.59	43
44.55	25
50.31	19

Structural model:
Lattice parameters (Å, degrees): 5.466 8.834 7.308 90.00 95.80 90.00
Fractional positions:
Zr: 0.000 0.000 0.000
Zr: 0.000 0.500 0.500
Cu: 0.500 0.000 0.500
Cu: 0.500 0.500 0.000
O: 0.258 0.113 0.579
O: 0.258 0.387 0.079
O: 0.386 0.666 0.107
O: 0.386 0.834 0.607
O: 0.614 0.166 0.393
O: 0.614 0.334 0.893
O: 0.742 0.613 0.921
O: 0.742 0.887 0.421
F: 0.190 0.648 0.352
F: 0.190 0.852 0.852
F: 0.229 0.536 0.731
F: 0.229 0.964 0.231
F: 0.235 0.170 0.929
F: 0.235 0.330 0.429
F: 0.765 0.670 0.571
F: 0.765 0.830 0.071
F: 0.771 0.036 0.769
F: 0.771 0.464 0.269
F: 0.810 0.148 0.148
F: 0.810 0.352 0.648

---

Computed XRD peak list
Compound: Cu3PF12
Radiation: Cu Kα
Structure: a GGA-PBE-relaxed structure
Peak positions follow from Bragg's law for the DFT cell and can differ from measured ones.

Largest 10 diffraction maxima, low angle first, 10° ≤ 2θ ≤ 90°:
2theta	Rel. int.
23.40	100
33.34	21
44.60	3
47.86	26
53.94	32
59.58	7
70.01	13
74.96	13
79.79	4
89.27	4

Structural model:
Lattice parameters (Å, degrees): 6.584 6.584 6.584 109.47 109.47 109.47
Fractional positions:
Cu: 0.000 0.500 0.500
Cu: 0.500 0.000 0.500
Cu: 0.500 0.500 0.000
P: 0.000 0.000 0.000
F: 0.000 0.214 0.214
F: 0.000 0.786 0.786
F: 0.214 0.000 0.214
F: 0.214 0.214 0.000
F: 0.250 0.500 0.750
F: 0.250 0.750 0.500
F: 0.500 0.250 0.750
F: 0.500 0.750 0.250
F: 0.750 0.250 0.500
F: 0.750 0.500 0.250
F: 0.786 0.000 0.786
F: 0.786 0.786 0.000

---
********
(The entry goes on)

I will be following this as the months go on to see how many directors and movie studios take Lethem up on his offer for You Don’t Love Me Yet. I’d also be interested to see if this also results in the book selling more copies. People have to read it to see if they want to film it.

I just love the idea of sharing and sampling sponsored by the creators. It’s a win-win situation: good for the original artists and good for everyone else.

 Now if only Disney would figure that out.